This week, over on The Cut, Kat Stoeffel wrote an interesting and thoughtful exploration into modern feminist criticism of Playboy. Her thesis, more or less, is that while Playboy may have indeed been a viable enemy of feminism as it existed in its first and second waves, today, the publication lies somewhere between irrelevance and pseudo-feminist, "quaint" softcore. Some critics are still taking the magazine to task, but as Stoeffel argues, there are bigger fish to fry. A fair point, but if you ask us, there is still a lot to discuss here — and it has less to do with more limited, traditional views of feminism and more to do with seeking out a more progressive future of gender politics and media sexuality in general.
The magazine has recently undergone a rebranding of sorts, aiming to move away from, as editorial director Jimmy Jellinek put it for Slate, "unattainable" images of female beauty in favor of something more "naturalistic." Jellinek has expressed concern that those same images were harmful to women and resulted in heightened competition and self-image issues. The goal now, it seems, is to return to the culturally relevant commentary with a side of highbrow sex. As demonstrated through Kate Moss' throwback cover, Playboy in 2014 will seek to evoke the aesthetic that made the magazine famous in the '60s and '70s, moving away from the plastic, platinum look that marked its turn away from a more intellectual, if still misogynistic, approach to pornography in the last 20 years. Though Playboy may be late to the game, it's a change that reflects evolving preferences in American culture overall, including fashion.
Attached: calculated crystals =
........
w.
A relaxed structure of Na9Ta4Zn2Si6P3O36, computed with PBE-GGA.

Computed properties:
- Mass density: 3998 kg/m³

a b c (Å): 15.7506 27.0796 9.0288
angles (deg): 89.99 125.00 90.02
Sites, in units of the cell vectors:
Na  0.2581  0.2449  0.0302
Na  0.2511  0.5904  0.0210
Na  0.2610  0.9124  0.0281
Na  0.7508  0.2519  0.5045
Na  0.7457  0.5811  0.5015
Na  0.7594  0.9168  0.5242
Na  0.7511  0.0904  0.0210
Na  0.7610  0.4124  0.0281
Na  0.7581  0.7449  0.0302
Na  0.2457  0.0811  0.5015
Na  0.2594  0.4168  0.5242
Na  0.2508  0.7519  0.5045
Na  0.4850  0.0268  0.7154
Na  0.4904  0.3704  0.7494
Na  0.4849  0.6965  0.7226
Na  0.4891  0.2942  0.2544
Na  0.4986  0.6256  0.2668
Na  0.4999  0.9565  0.2780
Na  0.9849  0.1965  0.7226
Na  0.9850  0.5268  0.7154
Na  0.9904  0.8704  0.7494
Na  0.9986  0.1256  0.2668
Na  0.9999  0.4565  0.2780
Na  0.9891  0.7942  0.2544
Na  0.8168  0.9820  0.2120
Na  0.2087  0.3087  0.2950
Na  0.2003  0.9740  0.2756
Na  0.2013  0.3590  0.7879
Na  0.8201  0.0185  0.7176
Na  0.8146  0.6950  0.6813
Na  0.3168  0.4820  0.2120
Na  0.7003  0.4740  0.2756
Na  0.7087  0.8087  0.2950
Na  0.7013  0.8590  0.7879
Na  0.3146  0.1950  0.6813
Na  0.3201  0.5185  0.7176
Ta  0.1047  0.2499  0.5773
Ta  0.1064  0.5842  0.5682
Ta  0.1061  0.9158  0.5669
Ta  0.8912  0.2498  0.9333
Ta  0.8963  0.5827  0.9417
Ta  0.1056  0.0842  0.0596
Ta  0.1049  0.4172  0.0618
Ta  0.1058  0.7504  0.0620
Ta  0.6064  0.0842  0.5682
Ta  0.6061  0.4158  0.5669
Ta  0.6047  0.7499  0.5773
Ta  0.3963  0.0827  0.9417
Ta  0.3912  0.7498  0.9333
Ta  0.6058  0.2504  0.0620
Ta  0.6056  0.5842  0.0596
Ta  0.6049  0.9172  0.0618
Zn  0.8970  0.9158  0.9461
Zn  0.8954  0.0877  0.4393
Zn  0.9017  0.4171  0.4635
Zn  0.9001  0.7498  0.4444
Zn  0.3970  0.4158  0.9461
Zn  0.4001  0.2498  0.4444
Zn  0.3954  0.5877  0.4393
Zn  0.4017  0.9171  0.4635
Si  0.9948  0.3207  0.7433
Si  0.4948  0.8207  0.7433
Si  0.3529  0.2983  0.7542
Si  0.3527  0.6308  0.7524
Si  0.3508  0.9642  0.7474
Si  0.6405  0.2978  0.7321
Si  0.6459  0.6312  0.7366
Si  0.6462  0.9675  0.7406
Si  0.6472  0.0341  0.2483
Si  0.6425  0.7002  0.2469
Si  0.3532  0.0364  0.2563
Si  0.3498  0.3703  0.2485
Si  0.3527  0.7041  0.2573
Si  0.8527  0.1308  0.7524
Si  0.8508  0.4642  0.7474
Si  0.8529  0.7983  0.7542
Si  0.1459  0.1312  0.7366
Si  0.1462  0.4675  0.7406
Si  0.1405  0.7978  0.7321
Si  0.1425  0.2002  0.2469
Si  0.1472  0.5341  0.2483
Si  0.8527  0.2041  0.2573
Si  0.8532  0.5364  0.2563
Si  0.8498  0.8703  0.2485
P  0.0019  0.6535  0.7483
P  0.0025  0.9870  0.7408
P  0.0028  0.0124  0.2410
P  0.0024  0.3457  0.2494
P  0.0029  0.6804  0.2477
P  0.5019  0.1535  0.7483
P  0.5025  0.4870  0.7408
P  0.5029  0.1804  0.2477
P  0.5028  0.5124  0.2410
P  0.5024  0.8457  0.2494
P  0.6395  0.3661  0.2388
P  0.1395  0.8661  0.2388
O  0.1494  0.1929  0.7477
O  0.1462  0.5298  0.7458
O  0.1437  0.8597  0.7363
O  0.8452  0.1906  0.7767
O  0.8473  0.5250  0.7819
O  0.8412  0.8575  0.7548
O  0.8489  0.1452  0.2469
........

Natural is best, Jellinek says, though of course that comes with the caveat that you are naturally beautiful and look like Kate Moss (though, we do have to give props to Playboy for obscuring the tagline and letting it read "entertainment for me" instead of "entertainment for men," particularly given that one of the mag's goals is to attract rather than offend female customers). Make no mistake about it: Playboy might be changing the packaging, but it's still selling images of a very particular type of woman, designed to appeal to a particular type of man. It's still perpetuating the cult of objectified, open-mouthed female sexuality as the primary focus of porn at any level.
If we read Jellinek's comments correctly, he and his staff are interested in atoning for the sins of decades past. What we're seeing here, though, is not a departure in a new direction. It's a return to the precedents of the mid 20th century, which may be appealing in a retro-chic way, but are still rooted in a lot of problematic traditions. Gender politics have changed since then, so if they're looking to create a progressive magazine that offers up challenging content and intellectually stomach-able sex, they need to do more than just bank on the nostalgia of a bygone aesthetic. "Entertainment for men" might have denoted a certain type of lady mag back in the day, but now, "entertainment for me" is a lot more varied — just check out some Tumblr porn for proof that humanity's many fetishes and preferences are as specific and widespread as our tastes in clothing, food, or music.
Stoeffel might not feel that Playboy is something to get outraged about. And, we're not exactly outraged, here. Rather, we just think it's worth discussing, and that this magazine's attempts to maintain relevance are indicative of how we see femininity today in mainstream and pop culture. Playboy wants to climb back up the mountain of class after tumbling way, way down, and they are doing a fine job. But, rather than redefining what it means to be an interesting, worthwhile sex magazine that is appealing to men and women, they're buying into an old ideal of classiness, of boy's-club, armchair sexuality that may select a more rarified type of female beauty but still does nothing to push the boundaries of the medium and the genre.
There is, of course, a valid argument that applies to most magazines today: You've got to be premium, because anything less is available on the Internet. It's why glossies are getting glossier and news-based publications are struggling. But, we'd argue that big-budget magazines like Playboy have an opportunity to do something really interesting, here, by taking a leaf out of our favorite alternative magazines' books. In the same way that Vanity Fair has to pivot to maintain healthy competition with sites like Gawker or The Cut, softcore sex magazines have to reevaluate to compete with the breadth and creativity of Tumblr. Right now, no mainstream publication is doing that. If Playboy can see that opportunity and act on it, though, they have the chance to not only instigate some real change in media but also to make a name for themselves that is more shocking, more enticing, and entirely more fascinating than simply falling back on legacy.
Look, we're not naive. It's probably not gonna happen anytime soon. But, we're also not crazy. When we spoke to Richard Phillips about the rebranding back in November, he said that "Playboy is looking for us to see things anew." His work in partnership with the magazine was not, he explained, destined to fall "into the idea of producing to the normative standard." The resulting pieces were interesting, and clearly a mostly successful initiative for the brand to return to its roots as a cultural publication with sex served in equal measure. It seems like the modification of the sexier pages, though, is decidedly less radical. That, we have to say, is unfortunate. There is so much opportunity to provide big-budget, mass-appeal sex content that is still reflective of a more progressive age. As far as print goes, it's an untapped market. But, that won't last long. It's just a matter of who wises up first.